# File
+++
No. 1
First-principles (PBE-GGA) data for a geometry-optimized Nd4Ge13 structure, as listed in the Materials Project database.

Results
The value obtained for the electronic total energy is -85.170 eV for the cell shown. Its space group is Pmm2 (25). The calculation puts the formation energy at -0.353 eV per atom. The value obtained for the magnetization is 0.00 Bohr magnetons per cell.

abc: 4.014 4.148 22.392
angles: 90.00 90.00 90.00
Fractional coordinates of all 17 atoms:
Ge 0.000 0.000 0.460
Ge 0.500 0.000 0.718
Ge 0.500 0.000 0.943
Ge 0.000 0.000 0.573
Ge 0.500 0.500 0.455
Ge 0.000 0.000 0.789
Ge 0.500 0.000 0.267
Ge 0.000 0.000 0.198
Ge 0.000 0.500 0.942
Ge 0.500 0.500 0.569
Ge 0.500 0.000 0.055
Ge 0.500 0.000 0.384
Ge 0.000 0.500 0.054
Nd 0.500 0.500 0.157
Nd 0.500 0.500 0.837
Nd 0.000 0.500 0.675
Nd 0.000 0.500 0.328

***

No. 2
First-principles (PBE-GGA) data for a geometry-optimized Nd2NiGe6 structure, as listed in the Materials Project database.

Results
The value obtained for the electronic total energy is -47.797 eV for the cell shown. Its space group is Amm2 (38). The calculation puts the formation energy at -0.527 eV per atom. The value obtained for the magnetization is 0.00 Bohr magnetons per cell.

abc: 4.126 4.075 11.134
angles: 100.54 90.00 90.00
Fractional coordinates of all 9 atoms:
Nd 0.500 0.887 0.774
Nd 0.500 0.221 0.443
Ge 0.000 0.001 0.002
Ge 0.500 0.500 0.000
Ge 0.000 0.115 0.231
Ge 0.500 0.614 0.228
Ge 0.000 0.769 0.537
Ge 0.000 0.339 0.679
Ni 0.000 0.446 0.893

***

No. 3
First-principles (PBE-GGA) data for a geometry-optimized Nd2NiGe3 structure, as listed in the Materials Project database.

Results
The value obtained for the electronic total energy is -33.004 eV for the cell shown. Its space group is P-6m2 (187). The calculation puts the formation energy at -0.636 eV per atom. The value obtained for the magnetization is 0.04 Bohr magnetons per cell.

abc: 4.251 4.251 8.264
angles: 90.00 90.00 120.00
Fractional coordinates of all 6 atoms:
Ge 0.000 0.000 0.000
Ge 0.667 0.333 0.500
Ge 0.000 0.000 0.500
Ni 0.667 0.333 0.000
Nd 0.333 0.667 0.767
Nd 0.333 0.667 0.233

***

No. 4
First-principles (PBE-GGA) data for a geometry-optimized NdNiGe2 structure, as listed in the Materials Project database.

Results
The value obtained for the electronic total energy is -45.547 eV for the cell shown. Its space group is Cmcm (63). The calculation puts the formation energy at -0.745 eV per atom.

abc: 8.658 8.658 4.253
angles: 90.00 90.00 151.68
Fractional coordinates of all 8 atoms:
Ge 0.542 0.458 0.250
Ge 0.749 0.251 0.750
Ge 0.251 0.749 0.250
Ge 0.458 0.542 0.750
Ni 0.319 0.681 0.750
Ni 0.681 0.319 0.250
Nd 0.891 0.109 0.250
Nd 0.109 0.891 0.750

***

No. 5
First-principles (PBE-GGA) data for a geometry-optimized Nd3NiGe2 structure, as listed in the Materials Project database.

Results
The value obtained for the electronic total energy is -134.611 eV for the cell shown. Its space group is Pnma (62). The calculation puts the formation energy at -0.720 eV per atom.

abc: 4.308 11.743 11.879
angles: 90.00 90.00 90.00
Fractional coordinates of all 24 atoms:
Nd 0.750 0.942 0.116
Nd 0.250 0.696 0.216
Nd 0.250 0.442 0.384
Nd 0.250 0.804 0.716
Nd 0.250 0.058 0.884
Nd 0.250 0.125 0.558
Nd 0.750 0.558 0.616
Nd 0.750 0.625 0.942
Nd 0.250 0.375 0.058
Nd 0.750 0.304 0.784
Nd 0.750 0.875 0.442
Nd 0.750 0.196 0.284
Ni 0.250 0.134 0.130
Ni 0.750 0.866 0.870
Ni 0.750 0.634 0.370
Ni 0.250 0.366 0.630
Ge 0.250 0.813 0.976
Ge 0.750 0.187 0.024
Ge 0.750 0.995 0.696
Ge 0.250 0.005 0.304
Ge 0.250 0.687 0.476
Ge 0.250 0.495 0.804
Ge 0.750 0.313 0.524
Ge 0.750 0.505 0.196

***

No. 6
First-principles (PBE-GGA) data for a geometry-optimized NdNiGe structure, as listed in the Materials Project database.

Results
The value obtained for the electronic total energy is -69.026 eV for the cell shown. Its space group is Pnma (62). The calculation puts the formation energy at -0.695 eV per atom.

abc: 4.400 7.233 7.296
+++

# Assignment
Next, say how many lines of the calculation results further above hold the word "eV", as a bare number.

# Done
6